vendredi 18 janvier 2013

J+148 Time with Lisa!

These days I have spent a lot of time with my teacher, Lisa. The "final term exam" is coming, so it is better for me to go to Lisa's library everyday (since she proposed it)
We also go out together on afternoons. There are pictures of markets, these are the "preparation" for spring festival !

Everybody needs to buy a stock of food because the shops are all closed during the spring festival!


dimanche 13 janvier 2013

J+143 Honesty in china.

Please keep in mind that what I am going to write is strictly from my point of view, what I observe from my daily experiences here in china. It may sound as if I am listing facts, no. This is my opinion, what I see.

There are a few moral points, which cause misunderstanding, sometimes anger when both cultures, western and Chinese are confronted.
Honesty is one of them.

You see, at first, this was a big problem for me. Honesty means a lot to me, it brings me a feeling of security. Arriving here, I noticed they didn't care that much whether someone tells the truth or not.

There is a sort of hypocrisy here, I am desperately trying to put words on it. People constantly lie, but in fact, in most cases it's politeness.

........
Entry from the Alexandria database: a relaxed La3PrAu2 crystal (PBE). Values from VASP.

```
&SYSTEM
  ibrav = 0, nat = 12, ntyp = 3
/
ATOMIC_SPECIES
La 138.91 La.upf
Pr 140.91 Pr.upf
Au 196.97 Au.upf
ATOMIC_POSITIONS crystal
La 0.020 0.750 0.270
La 0.250 0.250 0.000
La 0.480 0.750 0.730
La 0.520 0.250 0.270
La 0.750 0.750 0.000
La 0.980 0.250 0.730
Pr 0.000 0.500 0.500
Pr 0.500 0.000 0.500
Au 0.141 0.199 0.340
Au 0.359 0.699 0.058
Au 0.641 0.301 0.942
Au 0.859 0.801 0.660
CELL_PARAMETERS angstrom
-3.703 7.276 3.824
3.703 -7.276 3.824
3.703 7.276 -3.824
```

Properties
For the energy, the calculation gives -4.76 eV/atom. The value obtained for the theoretical density is 7.668 g/cm³. For the density of states at the Fermi level, the calculation gives 18.706 states/eV per cell.

=====

Record 1
## SrMoRuN2 (PBE)

Data for a geometry-optimized SrMoRuN2 structure. Values from VASP.

final energy = -0.4705 Ry per atom
ΔE_f (raw) = 1287 meV/atom
total magnetic moment = 1.2 Bohr magnetons per cell
space-group type = P4/mmm (123)

Structure (Quantum ESPRESSO input):
```
&SYSTEM
  ibrav = 0, nat = 5, ntyp = 4
/
ATOMIC_SPECIES
Sr 87.62 Sr.upf
Mo 95.94 Mo.upf
Ru 101.07 Ru.upf
N 14.01 N.upf
ATOMIC_POSITIONS crystal
Sr 0.0000 0.0000 0.0000
Mo 0.5000 0.5000 0.0000
Ru 0.5000 0.5000 0.5000
N 0.0000 0.5000 0.5000
N 0.5000 0.0000 0.5000
CELL_PARAMETERS angstrom
4.0590 0.0000 0.0000
0.0000 4.0590 0.0000
0.0000 0.0000 4.8926
```

***

Record 2
## CaHo2Mg (PBE)

Data for a geometry-optimized CaHo2Mg structure. Values from VASP.

DFT formation energy = 0.106 eV per atom
final energy = -0.2265 Ry per atom
energy relative to the lowest polymorph listed for this composition = 67 meV per atom
total magnetic moment = 0.0 Bohr magnetons per cell
space-group type = P4/mmm (123)

Structure (Quantum ESPRESSO input):
```
&SYSTEM
  ibrav = 0, nat = 4, ntyp = 3
/
ATOMIC_SPECIES
Ca 40.08 Ca.upf
Ho 164.93 Ho.upf
Mg 24.30 Mg.upf
ATOMIC_POSITIONS crystal
Ca 0.0000 0.0000 0.0000
Ho 0.0000 0.5000 0.5000
Ho 0.5000 0.0000 0.5000
Mg 0.5000 0.5000 0.0000
CELL_PARAMETERS angstrom
5.0441 0.0000 0.0000
0.0000 5.0441 0.0000
0.0000 0.0000 4.8802
```

***

Record 3
## ZrHOsRh2 (PBE)

Data for a geometry-optimized ZrHOsRh2 structure. Values from VASP.

final energy = -0.5845 Ry per atom
energy relative to the lowest polymorph listed for this composition = 0 meV per atom
total magnetic moment = 0.0 Bohr magnetons per cell
space-group type = P4/mmm (123)

Structure (Quantum ESPRESSO input):
```
&SYSTEM
  ibrav = 0, nat = 5, ntyp = 4
/
ATOMIC_SPECIES
Zr 91.22 Zr.upf
H 1.01 H.upf
Os 190.23 Os.upf
Rh 102.91 Rh.upf
ATOMIC_POSITIONS crystal
Zr 0.0000 0.0000 0.0000
H 0.5000 0.5000 0.5000
Os 0.5000 0.5000 0.0000
Rh 0.0000 0.5000 0.5000
Rh 0.5000 0.0000 0.5000
CELL_PARAMETERS angstrom
4.0043 0.0000 0.0000
0.0000 4.0043 0.0000
0.0000 0.0000 4.0405
```

***

Record 4
## AlFeNi4 (PBE)

Data for a geometry-optimized AlFeNi4 structure. Values from VASP.

DFT formation energy = -0.097 eV per atom
........

I notice there are different categories : in a family, people say the pure, naked truth.

Between best friends, or very close relatives, they lie, to show a sort of kindness.

For instance "oh, how I wish to see you, oh, your family is so great, oh, you look wonderful, I am so jealous..."

And to others, the "strangers", they lie about everything.

To make you understand, I will give you an example.

We were 5 minutes late with 7 of my classmates, after lunch break because there was a long queue to take hot water.

When we came back to the classroom, the teacher asked the students why they were late. They gave the teacher the explanation; and he then came to check with me if it was true.

I asked my classmates why, why the teacher checked with me,  they told me "foreigners are known to say the truth so teachers believe you instead of us".

I have come to conclude the "conception of honesty" is totally different. Just like some Arab countries, a lie here isn't a bad thing. It isn't seen as a betrayal.

I am progressively getting used to that and attaching less belief to people's saying.

J+143 If you have any questions...

Hello to all of you!

I want to let you all know that I am fully aware my posts have become "very light" these days. I'm about to change that. I haven't had that much time. Hope you forgive me!

In fact , I know you will! Why? Because I am going to HIT YOU with some serious thinking of mine!!

I'm kidding... I am going to share with you what's going on in my head, being confronted to this culture shock. I have put it down on paper, and made an attempt to get my thoughts straight, organised.

Get ready, it's coming. I am typing it right now, trying to reread myself, that's a tricky task,.. Since I write down these things in the bus, or sitting outside...

I also wanted you to know, that I am opened to any question. I am here, in China, right now. If ever a question runs through your minds, about anything here, it would be a pleasure for me to make up a post, to answer it. I would try my best.

Just send me an email, here's my address: 

You will hear a lot from me. Very soon.

I hope you are all doing very well!
En français: si vous avez des questions sur la Chine, n'hésitez pas à me les envoyer à mon adresse mail: et je me ferai un plaisir de trouver les réponses (en menant une petite enquête) et de les poster.